**To do**
Could you quote all of the listing underneath unchanged?

**Contents**
........
VASP calculation (GGA-PBE) on a geometry-optimized Ba2S3 structure.

Unit cell a=9.1535 b=9.1535 c=9.1535 alpha=141.11 beta=141.11 gamma=56.17
Atoms (fractional coordinates):
Ba (0.5495, 0.5495, 0.0000)
Ba (0.9544, 0.9544, 0.0000)
Ba (0.7044, 0.2044, 0.5000)
Ba (0.2995, 0.7995, 0.5000)
S (0.4991, 0.9991, 0.5000)
S (0.7190, 0.3920, 0.3270)
S (0.7491, 0.7491, 0.0000)
S (0.0651, 0.3920, 0.6730)
S (0.1420, 0.9690, 0.8270)
S (0.1420, 0.3151, 0.1730)

- Magnetization: 0.00 μB/cell
- Total energy after the MP2020 corrections: -5.170 eV per atom
- Uncorrected energy: -48.679 eV/cell
- Calculated formation energy: -1.920 eV/atom

~~~~~

## Na2Al3P3H2O14 (PBE-GGA)

Data for crystalline Na2Al3P3H2O14 at its relaxed geometry.

POSCAR file:
```
Na2Al3P3H2O14
1.0
8.567 0.000 0.000
0.000 8.572 0.000
0.000 0.000 14.460
Na Al P H O
8 12 12 8 56
Direct
0.228 0.011 0.286
0.247 0.970 0.539
0.253 0.030 0.039
0.272 0.989 0.786
0.728 0.489 0.714
0.747 0.530 0.461
0.753 0.470 0.961
0.772 0.511 0.214
0.132 0.405 0.292
0.133 0.385 0.948
0.139 0.358 0.636
0.361 0.642 0.136
0.367 0.615 0.448
0.368 0.595 0.792
0.632 0.095 0.708
0.633 0.115 0.052
0.639 0.142 0.364
0.861 0.858 0.864
0.867 0.885 0.552
0.868 0.905 0.208
0.026 0.722 0.378
0.035 0.712 0.042
0.047 0.699 0.705
0.453 0.301 0.205
0.465 0.288 0.542
0.474 0.278 0.878
0.526 0.778 0.622
0.535 0.788 0.958
0.547 0.801 0.295
0.953 0.199 0.795
0.965 0.212 0.458
0.974 0.222 0.122
0.112 0.632 0.202
0.166 0.640 0.895
0.334 0.360 0.395
0.388 0.368 0.702
0.612 0.868 0.798
0.666 0.860 0.105
0.834 0.140 0.605
0.888 0.132 0.298
0.001 0.826 0.962
0.012 0.054 0.158
0.013 0.541 0.010
0.019 0.825 0.630
0.021 0.839 0.296
0.025 0.535 0.662
0.068 0.234 0.371
0.076 0.209 0.717
0.100 0.256 0.048
0.192 0.738 0.421
0.200 0.561 0.208
0.209 0.746 0.068
0.212 0.732 0.742
0.225 0.544 0.886
0.275 0.456 0.386
0.288 0.268 0.242
0.291 0.254 0.568
0.300 0.439 0.708
0.308 0.262 0.921
0.400 0.744 0.548
0.424 0.791 0.217
0.432 0.766 0.871
0.475 0.465 0.162
0.479 0.161 0.796
0.481 0.175 0.130
0.487 0.459 0.510
0.488 0.946 0.658
0.499 0.174 0.462
0.501 0.674 0.038
0.512 0.446 0.842
0.513 0.959 0.990
0.519 0.675 0.370
0.521 0.661 0.704
0.525 0.965 0.338
0.568 0.266 0.629
0.576 0.291 0.283
0.600 0.244 0.952
0.692 0.762 0.579
0.700 0.939 0.792
0.709 0.754 0.932
0.712 0.768 0.258
0.725 0.956 0.114
0.775 0.044 0.614
0.788 0.232 0.758
0.791 0.246 0.432
0.800 0.061 0.292
0.808 0.238 0.079
0.900 0.756 0.452
0.924 0.709 0.783
0.932 0.734 0.129
0.975 0.035 0.838
0.979 0.339 0.204
0.981 0.325 0.870
0.987 0.041 0.490
0.988 0.554 0.342
0.999 0.326 0.538
```

Values from the calculation:
DFT total energy = -6.8098 eV per atom

~~~~~

Crystalline Tb2ZrSe5 at its relaxed geometry, computed with PBE.

```
Tb2ZrSe5
1.0
12.195 0.000 0.000
0.000 8.150 0.000
0.000 0.000 7.650
Tb Zr Se
8 4 20
direct
0.179 0.004 0.025 Tb
0.179 0.496 0.025 Tb
0.321 0.504 0.525 Tb
0.321 0.996 0.525 Tb
0.679 0.004 0.475 Tb
0.679 0.496 0.475 Tb
0.821 0.504 0.975 Tb
0.821 0.996 0.975 Tb
0.006 0.750 0.578 Zr
0.494 0.250 0.078 Zr
0.506 0.750 0.922 Zr
0.994 0.250 0.422 Zr
0.003 0.750 0.949 Se
0.094 0.038 0.664 Se
0.094 0.462 0.664 Se
0.182 0.750 0.331 Se
0.209 0.250 0.312 Se
0.291 0.750 0.812 Se
0.318 0.250 0.831 Se
0.406 0.538 0.164 Se
0.406 0.962 0.164 Se
0.497 0.250 0.449 Se
0.503 0.750 0.551 Se
0.594 0.038 0.836 Se
0.594 0.462 0.836 Se
0.682 0.750 0.169 Se
0.709 0.250 0.188 Se
0.791 0.750 0.688 Se
0.818 0.250 0.669 Se
0.906 0.538 0.336 Se
0.906 0.962 0.336 Se
0.997 0.250 0.051 Se
```

Summary:
- space group = Pnma
- theoretical density (g cm⁻³) = 7.0

Crystalline TeSe2 at its relaxed geometry, computed with PBE.

```
TeSe2
1.0
3.888 -2.217 0.000
3.888 2.217 0.000
-0.137 0.000 5.351
Te Se
1 2
direct
0.000 0.000 0.000 Te
0.515 0.256 0.338 Se
0.744 0.485 0.662 Se
```

Summary:
- maximum piezoelectric response (C/m2) = 1.5
- space group = C2
- theoretical density (g cm⁻³) = 5.1

Crystalline TeSe at its relaxed geometry, computed with PBE.

```
TeSe
1.0
4.399 0.000 0.000
........

**Done**
VASP calculation (GGA-PBE) on a geometry-optimized Ba2S3 structure.

Unit cell a=9.1535 b=9.1535 c=9.1535 alpha=141.11 beta=141.11 gamma=56.17
Atoms (fractional coordinates):
Ba (0.5495, 0.5495, 0.0000)
Ba (0.9544, 0.9544, 0.0000)
Ba (0.7044, 0.2044, 0.5000)
Ba (0.2995, 0.7995, 0.5000)
S (0.4991, 0.9991, 0.5000)
S (0.7190, 0.3920, 0.3270)
S (0.7491, 0.7491, 0.0000)
S (0.0651, 0.3920, 0.6730)
S (0.1420, 0.9690, 0.8270)
S (0.1420, 0.3151, 0.1730)

- Magnetization: 0.00 μB/cell
- Total energy after the MP2020 corrections: -5.170 eV per atom
- Uncorrected energy: -48.679 eV/cell
- Calculated formation energy: -1.920 eV/atom

~~~~~

## Na2Al3P3H2O14 (PBE-GGA)

Data for crystalline Na2Al3P3H2O14 at its relaxed geometry.

POSCAR file:
```
Na2Al3P3H2O14
1.0
8.567 0.000 0.000
0.000 8.572 0.000
0.000 0.000 14.460
Na Al P H O
8 12 12 8 56
Direct
0.228 0.011 0.286
0.247 0.970 0.539
0.253 0.030 0.039
0.272 0.989 0.786
0.728 0.489 0.714
0.747 0.530 0.461
0.753 0.470 0.961
0.772 0.511 0.214
0.132 0.405 0.292
0.133 0.385 0.948
0.139 0.358 0.636
0.361 0.642 0.136
0.367 0.615 0.448
0.368 0.595 0.792
0.632 0.095 0.708
0.633 0.115 0.052
0.639 0.142 0.364
0.861 0.858 0.864
0.867 0.885 0.552
0.868 0.905 0.208
0.026 0.722 0.378
0.035 0.712 0.042
0.047 0.699 0.705
0.453 0.301 0.205
0.465 0.288 0.542
0.474 0.278 0.878
0.526 0.778 0.622
0.535 0.788 0.958
0.547 0.801 0.295
0.953 0.199 0.795
0.965 0.212 0.458
0.974 0.222 0.122
0.112 0.632 0.202
0.166 0.640 0.895
0.334 0.360 0.395
0.388 0.368 0.702
0.612 0.868 0.798
0.666 0.860 0.105
0.834 0.140 0.605
0.888 0.132 0.298
0.001 0.826 0.962
0.012 0.054 0.158
0.013 0.541 0.010
0.019 0.825 0.630
0.021 0.839 0.296
0.025 0.535 0.662
0.068 0.234 0.371
0.076 0.209 0.717
0.100 0.256 0.048
0.192 0.738 0.421
0.200 0.561 0.208
0.209 0.746 0.068
0.212 0.732 0.742
0.225 0.544 0.886
0.275 0.456 0.386
0.288 0.268 0.242
0.291 0.254 0.568
0.300 0.439 0.708
0.308 0.262 0.921
0.400 0.744 0.548
0.424 0.791 0.217
0.432 0.766 0.871
0.475 0.465 0.162
0.479 0.161 0.796
0.481 0.175 0.130
0.487 0.459 0.510
0.488 0.946 0.658
0.499 0.174 0.462
0.501 0.674 0.038
0.512 0.446 0.842
0.513 0.959 0.990
0.519 0.675 0.370
0.521 0.661 0.704
0.525 0.965 0.338
0.568 0.266 0.629
0.576 0.291 0.283
0.600 0.244 0.952
0.692 0.762 0.579
0.700 0.939 0.792
0.709 0.754 0.932
0.712 0.768 0.258
0.725 0.956 0.114
0.775 0.044 0.614
0.788 0.232 0.758
0.791 0.246 0.432
0.800 0.061 0.292
0.808 0.238 0.079
0.900 0.756 0.452
0.924 0.709 0.783
0.932 0.734 0.129
0.975 0.035 0.838
0.979 0.339 0.204
0.981 0.325 0.870
0.987 0.041 0.490
0.988 0.554 0.342
0.999 0.326 0.538
```

Values from the calculation:
DFT total energy = -6.8098 eV per atom

~~~~~

Crystalline Tb2ZrSe5 at its relaxed geometry, computed with PBE.

```
Tb2ZrSe5
1.0
12.195 0.000 0.000
0.000 8.150 0.000
0.000 0.000 7.650
Tb Zr Se
8 4 20
direct
0.179 0.004 0.025 Tb
0.179 0.496 0.025 Tb
0.321 0.504 0.525 Tb
0.321 0.996 0.525 Tb
0.679 0.004 0.475 Tb
0.679 0.496 0.475 Tb
0.821 0.504 0.975 Tb
0.821 0.996 0.975 Tb
0.006 0.750 0.578 Zr
0.494 0.250 0.078 Zr
0.506 0.750 0.922 Zr
0.994 0.250 0.422 Zr
0.003 0.750 0.949 Se
0.094 0.038 0.664 Se
0.094 0.462 0.664 Se
0.182 0.750 0.331 Se
0.209 0.250 0.312 Se
0.291 0.750 0.812 Se
0.318 0.250 0.831 Se
0.406 0.538 0.164 Se
0.406 0.962 0.164 Se
0.497 0.250 0.449 Se
0.503 0.750 0.551 Se
0.594 0.038 0.836 Se
0.594 0.462 0.836 Se
0.682 0.750 0.169 Se
0.709 0.250 0.188 Se
0.791 0.750 0.688 Se
0.818 0.250 0.669 Se
0.906 0.538 0.336 Se
0.906 0.962 0.336 Se
0.997 0.250 0.051 Se
```

Summary:
- space group = Pnma
- theoretical density (g cm⁻³) = 7.0

Crystalline TeSe2 at its relaxed geometry, computed with PBE.

```
TeSe2
1.0
3.888 -2.217 0.000
3.888 2.217 0.000
-0.137 0.000 5.351
Te Se
1 2
direct
0.000 0.000 0.000 Te
0.515 0.256 0.338 Se
0.744 0.485 0.662 Se
```

Summary:
- maximum piezoelectric response (C/m2) = 1.5
- space group = C2
- theoretical density (g cm⁻³) = 5.1

Crystalline TeSe at its relaxed geometry, computed with PBE.

```
TeSe
1.0
4.399 0.000 0.000